Record 1
{"formula": "U3Si4Ni4", "functional": "PBE-GGA", "state": "optimized geometry", "lattice": [[-1.923, 1.969, 11.755], [1.923, -1.969, 11.755], [1.923, 1.969, -11.755]], "species": ["U", "U", "U", "Si", "Si", "Si", "Si", "Ni", "Ni", "Ni", "Ni"], "fractional_positions": [[0.000, 0.000, 0.000], [0.354, 0.854, 0.500], [0.646, 0.146, 0.500], [0.197, 0.697, 0.500], [0.450, 0.450, 0.000], [0.550, 0.550, 0.000], [0.803, 0.303, 0.500], [0.099, 0.599, 0.500], [0.250, 0.250, 0.000], [0.750, 0.750, 0.000], [0.901, 0.401, 0.500]], "magmom_total_mub_per_cell": 5.43, "formation_energy_ev_per_atom": -0.5043, "space_group": "Immm"}

---

Record 2
{"formula": "CeSe2", "functional": "PBE-GGA", "state": "optimized geometry", "lattice": [[6.077, -10.482, 0.000], [6.077, 10.482, 0.000], [-6.023, 0.000, 10.495]], "species": ["Ce", "Ce", "Ce", "Ce", "Ce", "Ce", "Ce", "Ce", "Se", "Se", "Se", "Se", "Se", "Se", "Se", "Se", "Se", "Se", "Se", "Se", "Se", "Se", "Se", "Se"], "fractional_positions": [[0.152, 0.836, 0.961], [0.164, 0.848, 0.539], [0.249, 0.467, 0.927], [0.467, 0.249, 0.427], [0.533, 0.751, 0.573], [0.751, 0.533, 0.073], [0.836, 0.152, 0.461], [0.848, 0.164, 0.039], [0.088, 0.295, 0.671], [0.106, 0.357, 0.057], [0.117, 0.883, 0.750], [0.277, 0.701, 0.528], [0.295, 0.088, 0.171], [0.299, 0.723, 0.972], [0.357, 0.106, 0.557], [0.500, 0.500, 0.000], [0.500, 0.500, 0.500], [0.643, 0.894, 0.443], [0.701, 0.277, 0.028], [0.705, 0.912, 0.829], [0.723, 0.299, 0.472], [0.883, 0.117, 0.250], [0.894, 0.643, 0.943], [0.912, 0.705, 0.329]], "magmom_total_mub_per_cell": 0.00, "formation_energy_ev_per_atom": -1.4039, "space_group": "C2/c", "corrected_energy_ev_per_atom": -5.712}

---

Record 3

Could you duplicate everything earlier on exactly?

Record 1
{"formula": "U3Si4Ni4", "functional": "PBE-GGA", "state": "optimized geometry", "lattice": [[-1.923, 1.969, 11.755], [1.923, -1.969, 11.755], [1.923, 1.969, -11.755]], "species": ["U", "U", "U", "Si", "Si", "Si", "Si", "Ni", "Ni", "Ni", "Ni"], "fractional_positions": [[0.000, 0.000, 0.000], [0.354, 0.854, 0.500], [0.646, 0.146, 0.500], [0.197, 0.697, 0.500], [0.450, 0.450, 0.000], [0.550, 0.550, 0.000], [0.803, 0.303, 0.500], [0.099, 0.599, 0.500], [0.250, 0.250, 0.000], [0.750, 0.750, 0.000], [0.901, 0.401, 0.500]], "magmom_total_mub_per_cell": 5.43, "formation_energy_ev_per_atom": -0.5043, "space_group": "Immm"}

---

Record 2
{"formula": "CeSe2", "functional": "PBE-GGA", "state": "optimized geometry", "lattice": [[6.077, -10.482, 0.000], [6.077, 10.482, 0.000], [-6.023, 0.000, 10.495]], "species": ["Ce", "Ce", "Ce", "Ce", "Ce", "Ce", "Ce", "Ce", "Se", "Se", "Se", "Se", "Se", "Se", "Se", "Se", "Se", "Se", "Se", "Se", "Se", "Se", "Se", "Se"], "fractional_positions": [[0.152, 0.836, 0.961], [0.164, 0.848, 0.539], [0.249, 0.467, 0.927], [0.467, 0.249, 0.427], [0.533, 0.751, 0.573], [0.751, 0.533, 0.073], [0.836, 0.152, 0.461], [0.848, 0.164, 0.039], [0.088, 0.295, 0.671], [0.106, 0.357, 0.057], [0.117, 0.883, 0.750], [0.277, 0.701, 0.528], [0.295, 0.088, 0.171], [0.299, 0.723, 0.972], [0.357, 0.106, 0.557], [0.500, 0.500, 0.000], [0.500, 0.500, 0.500], [0.643, 0.894, 0.443], [0.701, 0.277, 0.028], [0.705, 0.912, 0.829], [0.723, 0.299, 0.472], [0.883, 0.117, 0.250], [0.894, 0.643, 0.943], [0.912, 0.705, 0.329]], "magmom_total_mub_per_cell": 0.00, "formation_energy_ev_per_atom": -1.4039, "space_group": "C2/c", "corrected_energy_ev_per_atom": -5.712}

---

Record 3